• Work order:
Please type out only the lines below with the word "relaxed" in them.
• Data:
........
(1)
First-principles (r²SCAN) data for crystalline KTi5Se8 at its relaxed geometry, as listed in the Materials Project database.

Crystal system: monoclinic
E_form: -135.3 kJ/mol of atoms
Space-group type: No. 12
Total energy: -204.8 eV per formula unit

Lattice parameters (Å, degrees): 3.659 9.129 9.677 104.03 100.90 90.00
Sites, in units of the cell vectors:
Se 0.239 0.158 0.479
K 0.500 0.500 0.000
Se 0.914 0.184 0.828
Se 0.086 0.816 0.172
Se 0.838 0.503 0.676
Ti 0.291 0.649 0.581
Ti 0.653 0.990 0.305
Ti 0.709 0.351 0.419
Se 0.426 0.828 0.853
Ti 0.348 0.010 0.695
Se 0.162 0.497 0.324
Se 0.761 0.842 0.521
Ti 0.000 0.000 0.000
Se 0.574 0.172 0.147

(2)
First-principles (r²SCAN) data for crystalline TiMnRh2 at its relaxed geometry, as listed in the Materials Project database.

Crystal system: cubic
E_form: -76.4 kJ/mol of atoms
Space-group type: No. 225
Total energy: -79.1 eV per formula unit

Lattice parameters (Å, degrees): 4.333 4.333 4.333 60.00 60.00 60.00
Sites, in units of the cell vectors:
Rh 0.000 0.000 0.000
Mn 0.250 0.250 0.250
Rh 0.500 0.500 0.500
Ti 0.750 0.750 0.750

(3)
First-principles (r²SCAN) data for crystalline Th2Cu at its relaxed geometry, as listed in the Materials Project database.

Crystal system: hexagonal
E_form: 52.8 kJ/mol of atoms
Space-group type: No. 191
Total energy: -156.2 eV per formula unit

Lattice parameters (Å, degrees): 5.326 5.326 3.082 90.00 90.00 120.00
Sites, in units of the cell vectors:
Cu 0.000 0.000 0.000
Th 0.667 0.333 0.500
Th 0.333 0.667 0.500

(4)
First-principles (r²SCAN) data for crystalline ZnAg2I4 at its relaxed geometry, as listed in the Materials Project database.

Crystal system: orthorhombic
E_form: -46.3 kJ/mol of atoms
Space-group type: No. 31
Total energy: -153.2 eV per formula unit

Lattice parameters (Å, degrees): 7.343 7.674 9.085 90.00 90.00 90.00
Sites, in units of the cell vectors:
Zn 0.876 0.329 0.000
I 0.487 0.821 0.255
Ag 0.873 0.824 0.247
I 0.519 0.344 0.000
I 0.987 0.179 0.755
I 0.487 0.821 0.745
I 0.987 0.179 0.245
Ag 0.373 0.176 0.747
Ag 0.873 0.824 0.753
Zn 0.376 0.671 0.500
I 0.518 0.356 0.500
I 0.019 0.656 0.500
Ag 0.373 0.176 0.253
I 0.018 0.644 0.000

(5)
First-principles (r²SCAN) data for crystalline TbTmRh2 at its relaxed geometry, as listed in the Materials Project database.

Crystal system: cubic
E_form: -93.4 kJ/mol of atoms
Space-group type: No. 225
Total energy: -118.5 eV per formula unit

Lattice parameters (Å, degrees): 4.790 4.790 4.790 60.00 60.00 60.00
Sites, in units of the cell vectors:
Tb 0.250 0.250 0.250
Tm 0.750 0.750 0.750
Rh 0.000 0.000 0.000
Rh 0.500 0.500 0.500

(6)
First-principles (r²SCAN) data for crystalline PrAu2 at its relaxed geometry, as listed in the Materials Project database.

Crystal system: orthorhombic
E_form: -81.9 kJ/mol of atoms
Space-group type: No. 74
Total energy: -133.1 eV per formula unit

Lattice parameters (Å, degrees): 4.558 6.028 6.028 73.91 67.79 67.79
Sites, in units of the cell vectors:
Au 0.840 0.692 0.629
Au 0.160 0.871 0.808
Pr 0.466 0.284 0.784
Au 0.840 0.129 0.192
Pr 0.534 0.716 0.216
Au 0.160 0.308 0.371

(7)
First-principles (r²SCAN) data for crystalline PtI4 at its relaxed geometry, as listed in the Materials Project database.

Crystal system: orthorhombic
E_form: -18.3 kJ/mol of atoms
Space-group type: No. 61
Total energy: -150.7 eV per formula unit

Lattice parameters (Å, degrees): 6.934 13.395 15.914 90.00 90.00 90.00
Sites, in units of the cell vectors:
I 0.585 0.285 0.693
I 0.915 0.785 0.693
I 0.750 0.554 0.573
I 0.444 0.709 0.069
I 0.750 0.054 0.573
I 0.415 0.715 0.307
I 0.250 0.554 0.927
Pt 0.405 0.173 0.811
Pt 0.595 0.673 0.689
I 0.556 0.209 0.431
I 0.250 0.446 0.427
I 0.915 0.715 0.193
I 0.279 0.940 0.185
I 0.750 0.946 0.073
Pt 0.595 0.827 0.189
I 0.085 0.285 0.807
I 0.415 0.785 0.807
I 0.721 0.440 0.315
I 0.721 0.060 0.815
I 0.779 0.940 0.315
I 0.221 0.060 0.685
Pt 0.095 0.827 0.311
I 0.750 0.446 0.073
I 0.056 0.291 0.569
I 0.250 0.946 0.427
I 0.556 0.291 0.931
........
• Outcome:
First-principles (r²SCAN) data for crystalline KTi5Se8 at its relaxed geometry, as listed in the Materials Project database.
First-principles (r²SCAN) data for crystalline TiMnRh2 at its relaxed geometry, as listed in the Materials Project database.
First-principles (r²SCAN) data for crystalline Th2Cu at its relaxed geometry, as listed in the Materials Project database.
First-principles (r²SCAN) data for crystalline ZnAg2I4 at its relaxed geometry, as listed in the Materials Project database.
First-principles (r²SCAN) data for crystalline TbTmRh2 at its relaxed geometry, as listed in the Materials Project database.
First-principles (r²SCAN) data for crystalline PrAu2 at its relaxed geometry, as listed in the Materials Project database.
First-principles (r²SCAN) data for crystalline PtI4 at its relaxed geometry, as listed in the Materials Project database.